Guild Mission: Welcome, fellow adventurers, to a realm where tales unfold and destinies are forged. Within this guild hall, we gather as kindred spirits, bound by an ardor for storytelling and the art of tabletop roleplay. By embarking upon unfamiliar paths and overcoming challenges along the way, we are inspired to reimagine ourselves and emerge as the heroes of our own narrative.
Guild Master
Greg S.
Quest Master
Vice President Education
Andrew B.
Recruitment Master
Vice President Membership
Cameron P.
Master Bard
Vice President Public Relations
Kait W.
Master Scribe
Kenneth B.
Master of Coin
Kelly S.
Sergeant at Arms
Mindy B.
Former Guild Master
Immediate Past President
Loni H.
Campaign Master
Andrew B.
Web Master
Loni H.

Dungeons & Toast Meeting

Date: Friday July 5, 2024
Meeting Theme: A New Year - a New Hope
Word of the Day: not yet chosen
6:45 to 7:00 PM

Meet & Greet


7:00 to 7:05 PM

The Sergeant-at-Arms shares the Club Mission Statement and welcomes visiting guests. He or she then calls the meeting to order, introducing and ceding control to the Toastmaster-of-the-Day.

7:05 to 7:15 PM
Toastmaster of the Day Angel L, DTM

The Toastmaster introduces the members of the Evaluation team: Wizard of Ahs (Ah Counter), Cleric of Rhetoric (Grammarian), Sorcerer of Time (Timer), and Scribe.

Prepared Speeches

7:15 to 7:40 PM
Speaker 1 Michael A, DTM
Strategic Relationships Level 3 Increasing Knowledge - Researching and Presenting
5 - 7 minutes
How it all began

As we enter the Year of the Dragon campaign, you have only to look at that tombstone to see Fuxi, the most scholarly of dragons perched, with a book in his hand.  Taking time from reading, he stops to explain the origin of the world with the on-looking crowd.

Although it make look to the uninitiated like Dr. Michael is the one talking, if you listen with skillful ears, you will hear Fuxi, explain physics and metaphysics, in the ways that only he can.

Speaker 2 Patrick V, DTM
Strategic Relationships Level 1 Mastering Fundamentals - Evaluation and Feedback - Second Speech
5-7 minutes
Too Late I Realize . . .

As Havell Fitz, his Dungeons & Toast guild campaign character from the previous Toastmasters year, the Year of the Harengon, Patrick recounts Havell's journey from fledgling arbiter, archaelogist, and ambassador to hero in the climactic battle with Lucifera to prevent her ascension to lichdom and save the lives of baby Harengon's.

Speaker 3 Mindy B
Presentation Mastery Level 1 Mastering Fundamentals - Evaluation and Feedback - First Speech
5-7 minutes
Character Creation: Francesca

In this speech Mindy will share their process of building their new character for the next campaign.

Backup Speaker David E, ACB A

1-3 speakers deliver prepared speeches, each of which is generally 5-7 minutes in length.

No. 1
Here is a relaxed SrIn6Cu7 crystal from Materials Project. Energies are from PBE.

Unit cell a=12.7838 b=12.7759 c=12.7496 alpha=90.00 beta=90.00 gamma=90.00
Space group Cmcm (No. 63)
One atom of each set of equivalent atoms:
Sr  0.2479  0.0000  0.0000 (multiplicity 8)
In  0.0000  0.0617  0.1153 (multiplicity 8)
In  0.0000  0.3870  0.5681 (multiplicity 8)
In  0.1352  0.0823  0.7500 (multiplicity 8)
In  0.1372  0.2489  0.0643 (multiplicity 16)
In  0.1395  0.4538  0.7500 (multiplicity 8)
Cu  0.0000  0.1490  0.5811 (multiplicity 8)
Cu  0.0000  0.2390  0.2500 (multiplicity 4)
Cu  0.0000  0.2596  0.7500 (multiplicity 4)
Cu  0.0000  0.4114  0.1455 (multiplicity 8)
Cu  0.1709  0.1327  0.2500 (multiplicity 8)
Cu  0.1714  0.2651  0.6460 (multiplicity 16)
Cu  0.1714  0.3408  0.2500 (multiplicity 8)

Properties
Energy of formation in eV/atom: -0.118
E_tot in Ry/atom: -0.2549
Volume in Å³ per atom: 18.59


No. 2
Here is a relaxed Na2InGaF6 crystal from Materials Project. Energies are from PBE.

Unit cell a=8.9509 b=8.9509 c=8.9509 alpha=90.00 beta=90.00 gamma=90.00
Space group Fm-3m (No. 225)
One atom of each set of equivalent atoms:
Na  0.2500  0.2500  0.2500 (multiplicity 8)
In  0.0000  0.0000  0.0000 (multiplicity 4)
Ga  0.0000  0.0000  0.5000 (multiplicity 4)
F  0.0000  0.0000  0.2352 (multiplicity 24)

Properties
Energy of formation in eV/atom: -2.530
E_tot in Ry/atom: -0.3120
Total moment in μB/cell: 0.00
Volume in Å³ per atom: 17.93


No. 3
Here is a relaxed Sr3TaAs3O crystal from Materials Project. Energies are from PBE.

Unit cell a=6.4538 b=10.7841 c=13.0800 alpha=90.00 beta=90.00 gamma=90.00
Space group Pnma (No. 62)
One atom of each set of equivalent atoms:
Sr  0.2322  0.2500  0.1287 (multiplicity 4)
Sr  0.2457  0.5429  0.3719 (multiplicity 8)
Ta  0.1581  0.2500  0.5484 (multiplicity 4)
As  0.2363  0.2500  0.3637 (multiplicity 4)
As  0.2368  0.5485  0.1237 (multiplicity 8)
O  0.1346  0.7500  0.4455 (multiplicity 4)

Properties
Energy of formation in eV/atom: -1.554
E_tot in Ry/atom: -0.4373
Total moment in μB/cell: 0.00
Volume in Å³ per atom: 28.45


No. 4
Here is a relaxed DyTmIr2 crystal from Materials Project. Energies are from PBE.

Unit cell a=6.8173 b=6.8173 c=6.8173 alpha=90.00 beta=90.00 gamma=90.00
Space group Fm-3m (No. 225)
One atom of each set of equivalent atoms:
Dy  0.0000  0.0000  0.0000 (multiplicity 4)
Tm  0.0000  0.0000  0.5000 (multiplicity 4)
Ir  0.2500  0.2500  0.2500 (multiplicity 8)

Properties
Energy of formation in eV/atom: -0.884
E_tot in Ry/atom: -0.5567
Volume in Å³ per atom: 19.80


No. 5
Here is a relaxed Y2In3Pb3 crystal from Materials Project. Energies are from PBE.

Unit cell a=4.8020 b=4.8131 c=9.5131 alpha=90.00 beta=90.00 gamma=90.00
Space group Pmmm (No. 47)
One atom of each set of equivalent atoms:
Y  0.0000  0.0000  0.2493 (multiplicity 2)
In  0.0000  0.5000  0.5000 (multiplicity 1)
In  0.5000  0.5000  0.2526 (multiplicity 2)
Pb  0.0000  0.5000  0.0000 (multiplicity 1)

Impromptu Speeches

7:40 to 8:00 PM
Topics Master David E, ACB A

The Table Topics Master conducts the table topics session with members and guests invited to speak extemporaneously for 1-2 minutes each. Returns control to the Toastmaster-of-the-Day.

The Toastmaster-of-the-Day passes control to the Captain of the Watch (General Evaluator).


General Evaluator Robert G, DTM

The Captain of the Watch (General Evaluator) leads the third and final portion of the meeting which is dedicated to evaluation.

8:00 to 8:10 PM
Evaluator 1 Michael C
Evaluator 2 Cynthia Z, PM5
Evaluator 3 Loni H, IP5

Each Speech Evaluator delivers an evaluation of the prepared speech to which they have been assigned.

8:10 to 8:15 PM
Timer Kait W

The Sorcerer of Time (Timer) delivers his or her report.

Ah Counter Kenneth B, DTM

The Wizard of Ahs (Ah Counter) delivers his or her report.


The Cleric of Rhetoric (Grammarian) delivers his or her report.


The Scribe delivers his or her report.

8:15 to 8:19 PM

The General Evaluator provides an overall assessment of the meeting, including exceptional moments and opportunities for improvement before ceding control to the Toastmaster-of-the-Day.

8:19 to 8:21 PM

The Toastmaster-of-the-Day provides closing remarks before ceding control to the presiding officer.


8:21 to 8:36 PM

The presiding officer facilitates any outstanding club business before adjourning the meeting, including:
•Soliciting guest feedback
•Member recognition
•Filling roles for the next meeting

Additional Club Business

8:36 PM

Meeting Ends